My latest fanfic, and a simple enough idea: what if the KH series' scope went beyond Disney movies? More specifically, what if it included my second favorite video game? The story's fairly short right now, but I'm adding to it, little by little. I'm aiming for about once a day, at least for now. In any case, just as with the Disney worlds in the KH series, the other game's plot won't be reiterated completely, and there's a fair amount of artistic liscense taken here and there. But I've tried to preserve the original feelings of both games while meshing them together nonetheless. I hope you like it! And as a bonus, a cookie goes to anyone who can recognize just what game this is from before it's revealed. ^_^ Upon disembarking from their ship, our interstellar heroes found themselves in a world unlike any they had seen before. A quaint little village lay before them. Built upon a verdant field checkered with lush, green trees, the town and its people buzzed with life beneath the spectral penumbra of the full moon above. That alone was not so spectacular. The remarkable thing was the atmosphere that radiated from the scene. Everything was so lively and bright. Even in the dead of night, the grass was greener, the sky was a deeper blue, and everything between them seemed to glow with a radiance that permeated the realm to its core. Sora, the young Hero of Light was the first to arrive in the village after leaving his vessel, the Gummi Ship. Brushing a few jagged locks of hair from his eyes, he stared in awe at the sight that greeted him. "Geez, Not exactly the Pride Lands, is it?" he remarked, referencing the withered state of the world they visited last. "Gawrsh, I don't know," responded Goofy, Sora's canine companion, joining him at the entrance of the village. "Wak!" quaked Donald, Sora's feathered friend and the final member of the trinity. "What are you talking about?, Goofy? I've never seen a place like this before!" "Well...I'm not sure," Goofy answered hesitantly. "I can't put my finger on it. This place sure looks purty, but somethin' don't feel quite right." Sora and Donald considered these words, and the more they thought about them, the truer they became. It was barely noticeable at first, but there was a certain...tenseness...snaking its way through the air, an intangible feeling of anxiety, and of stress, with just the slightest hint of...fear, even. The taste of darkness was in the air. The villagers were hard at work, apparently preparing for some big event, but there was obviously more at work than that. "I feel it, too, Goofy," Sora affirmed. "The Heartless, you think?" "Or the Organization," Donald added. "Who knows what they could be up to?" But their musings were soon interrupted. "You, there!" called a stranger's jovial, welcoming voice. "In all my years, I've never seen anyone like you here before. Come for the festival, did you? Well, you're just in time!" "Er...festival?" Sora asked the unseen speaker. "Sorry, sir, but what festival? What is this place?" "You mean you don't know?" the voice inquired gently. Then, the speaker stepped closer, out of the shadows, placing himself directly in front of Sora, Donald, and Goofy. He certainly was a strange sight. He was apparently very old, maybe almost a hundred. His long, white beard reached all the way down to his feet, which was admittedly made easier by his stooped, crooked back. And, oddest of all, he seemed to be wearing a piece of fruit as a hat, balancing it precariously atop his head. "This is Kamiki Village. I'm Mr. Orange, the village elder. And tonight, people have gathered from all over the world to celebrate the Festival of the Moon, the anniversary of the legendary hero Nagi's noble victory over the dreaded Orochi!" "Huh. Sounds like fun!" Sora concluded. "But Sora," objected Donald. "There's gotta be something wrong here! Why else would the Keyblade lead us here?" "Who knows?" he retorted. "Maybe we just get a break every once in a while. After all, remember the Hundred-Acre Wood? There was no big bad boss for us to beat there, either. So I say, let's just kick back, enjoy the party, and let whatever happens happen." And happen it did. Only mere minutes afterwards, just before the official opening of the festival, a great noise -- a fearful bellow -- seemed to shake the very earth itself. A figure then came bounding into the village, screaming bloody murder. It was a man, probably in his twenties or thirties. His was a stout but muscular figure, clad in a dark purple tunic and brandishing a large wooden sword. His face was almost entirely concealed by thick, black hair, but his expression was unmistakable. It was one of pure terror. To be continued...whenever I get around to it. >_>
(Someone pasted calculated crystals at this point)
1.
TmCo4Ge2 | GGA-PBE | relaxed

Cell lengths 7.2246, 7.2246, 3.7058 Å; angles 90.00, 90.00, 90.00 degrees
Space group P4_2/mnm (No. 136)
Asymmetric unit:
Tm 0.0000 0.0000 0.0000
Co 0.0821 0.3537 0.5000
Ge 0.2218 0.7782 0.5000

Values from the calculation:
theoretical density	9.44	g/cm3
energy of formation from the pure elements	-2.7	eV/f.u.
total magnetization	0.08	Bohr magnetons per cell

---

2.
Tm3Co4Ge13 | GGA-PBE | relaxed

Cell lengths 8.7520, 8.7520, 8.7520 Å; angles 90.00, 90.00, 90.00 degrees
Space group Pm-3n (No. 223)
Asymmetric unit:
Tm 0.0000 0.2500 0.5000
Co 0.2500 0.2500 0.2500
Ge 0.0000 0.0000 0.0000
Ge 0.0000 0.3057 0.1534

Values from the calculation:
theoretical density	8.36	g/cm3
energy of formation from the pure elements	-8.0	eV/f.u.
total magnetization	0.00	Bohr magnetons per cell

---

3.
Tm2CoGe4 | GGA-PBE | relaxed

Cell lengths 4.0716, 4.0789, 15.8078 Å; angles 90.00, 90.00, 90.00 degrees
Space group Amm2 (No. 38)
Asymmetric unit:
Tm 0.0000 0.0000 0.0000
Tm 0.5000 0.0000 0.2099
Co 0.0000 0.0000 0.7953
Ge 0.0000 0.0000 0.3656
Ge 0.0000 0.0000 0.6515
Ge 0.5000 0.0000 0.5492
Ge 0.5000 0.0000 0.8635

Values from the calculation:
theoretical density	8.70	g/cm3
energy of formation from the pure elements	-4.3	eV/f.u.
total magnetization	0.01	Bohr magnetons per cell

---

4.
Tm5Co4Ge10 | GGA-PBE | relaxed

Cell lengths 12.7019, 12.7019, 4.1534 Å; angles 90.00, 90.00, 90.00 degrees
Space group P4/mbm (No. 127)
Asymmetric unit:
Tm 0.0000 0.0000 0.0000
Tm 0.1135 0.3865 0.5000
Tm 0.1757 0.6757 0.5000
Co 0.0239 0.7541 0.0000
Ge 0.0059 0.8345 0.5000
Ge 0.0683 0.5683 0.0000
Ge 0.1564 0.1973 0.0000

Values from the calculation:
theoretical density	8.95	g/cm3
energy of formation from the pure elements	-12.3	eV/f.u.

=====

(1)
The following is a DFT calculation (GGA-PBE) of a relaxed Ba4Sn9Bi3 crystal.

a b c (Å): 7.3512 7.3512 22.8646
angles (deg): 90.00 90.00 120.00
Space group P6_3/mmc (No. 194)
Symmetry-distinct sites (fractional):
Ba 0.0000 0.0000 0.0000 (multiplicity 2)
Ba 0.0000 0.0000 0.2500 (multiplicity 2)
Ba 0.3333 0.6667 0.1342 (multiplicity 4)
Sn 0.0569 0.5284 0.7500 (multiplicity 6)
Sn 0.1927 0.3855 0.6249 (multiplicity 12)
Bi 0.0000 0.5000 0.0000 (multiplicity 6)

Calculated values
ΔE_f, eV per formula unit: -7.49

(2)
The following is a DFT calculation (GGA-PBE) of a relaxed BaSrBi3 crystal.

a b c (Å): 15.504 7.110 6.922
angles (deg): 90.00 90.00 90.00
Space group Pnna (No. 52)
Symmetry-distinct sites (fractional):
Ba 0.250 0.000 0.046 (multiplicity 4)
Sr 0.000 0.250 0.250 (multiplicity 4)
Bi 0.058 0.750 0.250 (multiplicity 4)
Bi 0.149 0.052 0.566 (multiplicity 8)

Calculated values
ΔE_f, eV per formula unit: -3.70

(3)
The following is a DFT calculation (GGA-PBE) of a relaxed BaBr2 crystal.

a b c (Å): 8.409 5.070 10.094
angles (deg): 90.00 90.00 90.00
Space group Pnma (No. 62)
Symmetry-distinct sites (fractional):
Ba 0.246 0.250 0.113 (multiplicity 4)
Br 0.023 0.250 0.835 (multiplicity 4)
That was good!! And man, I don't know what game that is, but for some reason Zelda popped into my head.@_@
What comes next are materials data, not part of the text
/*
[1]
An optimized crystal structure of Li6Zn3P4S16, computed with GGA-PBE.

Properties
Uncorrected energy, eV/atom: -4.279
Energy above the most stable polymorph in this dataset, eV/atom: 0.004
DFT formation energy, meV per atom: -1002

Cell lengths 9.325, 11.595, 23.170 Å; angles 90.03, 89.97, 90.00 degrees
Fractional coordinates of all 116 atoms:
S1 0.137 0.395 0.431
S2 0.863 0.861 0.551
S3 0.871 0.640 0.446
Zn1 0.501 0.248 0.125
Zn2 0.499 0.250 0.375
S4 0.637 0.148 0.055
Li1 0.001 0.250 0.375
S5 0.365 0.894 0.574
Zn3 0.992 0.498 0.000
Li2 0.508 0.999 0.748
S6 0.863 0.637 0.198
P1 0.750 0.750 0.250
S7 0.136 0.896 0.431
P2 0.250 0.000 0.375
Zn4 0.000 0.000 0.250
S8 0.364 0.389 0.323
S9 0.125 0.894 0.926
P3 0.747 0.254 0.998
P4 0.750 0.746 0.499
Zn5 0.988 0.501 0.750
Li3 0.996 0.752 0.622
P5 0.750 0.250 0.500
S10 0.639 0.645 0.805
Li4 0.248 0.753 0.998
S11 0.638 0.853 0.444
S12 0.870 0.357 0.052
S13 0.630 0.145 0.804
Li5 0.003 0.248 0.125
P6 0.249 0.001 0.623
S14 0.367 0.607 0.926
P7 0.753 0.754 0.002
S15 0.139 0.105 0.071
Li6 0.255 0.750 0.751
Li7 0.994 0.252 0.623
S16 0.369 0.606 0.679
S17 0.635 0.354 0.194
Li8 0.500 0.253 0.877
P8 0.253 0.501 0.125
Zn6 0.505 0.250 0.624
S18 0.872 0.860 0.803
S19 0.126 0.103 0.821
S20 0.869 0.139 0.696
S21 0.372 0.108 0.178
Li9 0.505 0.749 0.875
S22 0.872 0.856 0.054
Zn7 0.995 0.000 0.750
S23 0.637 0.854 0.696
S24 0.373 0.891 0.820
S25 0.125 0.393 0.681
S26 0.128 0.105 0.571
S27 0.863 0.640 0.949
Li10 0.501 0.003 0.002
S28 0.125 0.606 0.820
S29 0.368 0.102 0.925
P9 0.250 0.500 0.375
Li11 0.999 0.003 0.001
S30 0.865 0.139 0.198
S31 0.136 0.604 0.319
Li12 0.249 0.251 0.752
S32 0.367 0.113 0.677
S33 0.872 0.646 0.698
S34 0.364 0.888 0.323
Zn8 0.500 0.751 0.376
Zn9 0.998 0.998 0.500
S35 0.133 0.600 0.572
S36 0.635 0.351 0.695
S37 0.866 0.143 0.948
P10 0.254 0.995 0.874
S38 0.639 0.644 0.554
Li13 0.503 0.502 0.500
S39 0.135 0.104 0.319
S40 0.130 0.897 0.680
P11 0.248 0.003 0.125
P12 0.246 0.500 0.875
Zn10 0.999 0.500 0.250
S41 0.369 0.889 0.074
S42 0.637 0.146 0.306
S43 0.637 0.145 0.555
S44 0.365 0.389 0.073
S45 0.134 0.399 0.180
Li14 0.500 0.998 0.499
Li15 0.994 0.746 0.876
S46 0.364 0.611 0.427
S47 0.365 0.389 0.575
Li16 0.506 0.749 0.624
Li17 0.003 0.751 0.374
S48 0.863 0.363 0.552
Li18 0.748 0.001 0.879
S49 0.865 0.861 0.302
S50 0.128 0.396 0.929
S51 0.634 0.359 0.946
S52 0.365 0.613 0.177
S53 0.634 0.354 0.444
S54 0.637 0.854 0.195
P13 0.746 0.750 0.750
Li19 0.508 0.501 0.751
S55 0.865 0.139 0.448
S56 0.865 0.357 0.802
S57 0.865 0.361 0.302
S58 0.131 0.604 0.069
S59 0.631 0.855 0.948
S60 0.367 0.395 0.823
Li20 0.502 0.999 0.251
Zn11 0.998 0.501 0.499
Li21 0.502 0.497 0.000
P14 0.250 0.499 0.627
Zn12 0.505 0.749 0.126
S61 0.137 0.896 0.181
Li22 0.995 0.251 0.877
P15 0.752 0.246 0.750
Li23 0.996 0.750 0.127
Li24 0.501 0.500 0.250
P16 0.750 0.250 0.250
S62 0.628 0.647 0.054
S63 0.635 0.646 0.306
S64 0.364 0.112 0.427

[2]
An optimized crystal structure of Mg14NbNi, computed with GGA-PBE.

Properties
*/
Here the text continues
Thanks! And it's kind of funny that you'd mention that. Over on its board on GameFAQs, the game's resemblance to Zelda is somewhat of a hotly debated topic. >_>
No idea what game that is, but it looks like you got a pretty good start on the story! ^-^ I likeded it. *sigh* I'm tired... -_-;
I thank you. Admittedly, this particular game is one of the more obscure ones. It's called Okami. You play as Amaterasu, the Shinto goddess of the sun. Your goal is to purge the darkness from ancient Japan while rejuvinating nature's beauty and restoring the people's faith in the gods. It's very heavily steeped in Japanese mythology, and it's somewhat famous for its very unique, vivacious style of graphics.